
Polemical Rebuttals


Polem­i­cal Rebuttals

Muslim pilgrims, Medina, Saudi Arabia

Prophet Muham­mad’s integri­ty has often been tar­get­ed by mis­con­cep­tions, includ­ing the false claim that he died due to divine ret­ri­bu­tion for lying, based on mis­in­ter­pre­ta­tions of Surah al-Haqqah (69:44 – 46). This arti­cle refutes this base­less alle­ga­tion through a detailed analy­sis of Quran­ic vers­es, hadith, and his­tor­i­cal con­text, affirm­ing his stead­fast hon­esty and prophet­ic mission.

=====
# 1
The following is a DFT calculation (wB97M-V/def2-TZVPD) of a molecular structure, C24H43BF4P2Sm in a non-equilibrium geometry.

Spin multiplicity ... 6
Net charge ... +1
HOMO-LUMO gap (spin up / spin down) ... 7.2 / 8.3 eV
Expectation value of S² ... 8.799

Each line ends with the Löwdin spin population.
Geometry (Å):
Sm -0.17027 -0.10694 1.84707  5.159
C -0.66417 -2.41336 2.94867  -0.023
C 0.67999 -2.50072 2.46946  -0.017
C 0.60106 -0.86656 4.11946  -0.014
C -0.72264 -1.40167 3.96816  -0.019
C 1.46113 -1.53241 3.17807  -0.025
C -1.78434 -3.30778 2.56250  -0.003
H -1.52983 -3.87350 1.66268  0.000
H -2.70352 -2.74496 2.36374  -0.001
H -2.01790 -4.03967 3.34794  -0.001
C -1.93140 -0.96754 4.71574  -0.002
H -2.82528 -1.48659 4.35406  0.000
H -2.09791 0.11191 4.60605  -0.001
H -1.83945 -1.17105 5.79118  -0.001
C 0.99844 0.17379 5.09800  -0.001
H 0.72220 -0.12650 6.11974  0.000
H 0.49606 1.13542 4.90734  0.000
H 2.08002 0.33787 5.07288  0.000
C 2.93258 -1.37468 3.07818  -0.003
H 3.44826 -1.92450 3.88321  -0.002
H 3.24739 -0.32684 3.14664  0.000
H 3.30582 -1.77061 2.12793  0.000
C 1.22648 -3.56683 1.58792  -0.001
H 1.56831 -4.42870 2.18348  -0.001
H 2.09136 -3.20329 1.01923  0.000
H 0.47299 -3.93707 0.88240  0.000
C -1.78099 1.06225 -3.96025  0.000
C -1.81960 -0.28524 -3.92477  0.000
C -1.05768 -1.17613 -4.85975  0.000
C 0.45118 -0.86358 -5.01630  0.000
C 1.12462 -0.31024 -3.80540  0.000
C 1.28490 1.01089 -3.63578  0.000
C 0.59105 2.07375 -4.43258  0.000
C -0.89616 1.86644 -4.85711  0.000
H -1.52714 -1.11320 -5.86352  0.000
H 0.58539 -0.18669 -5.87370  0.000
H -1.17410 -2.21868 -4.51912  0.000
H -0.92712 1.49392 -5.89217  0.000
H -2.58651 1.62789 -3.47038  0.000
H -2.59369 -0.77987 -3.32503  0.000
H -1.34955 2.87104 -4.88444  0.000
H 0.64806 3.01273 -3.85739  0.000
H 2.08150 1.39810 -2.98990  0.000
H 1.16698 2.24172 -5.36017  0.000
H 0.94406 -1.81323 -5.26973  0.000
H 1.57946 -1.04160 -3.12817  0.000
P -1.64943 0.10188 -0.45483  -0.018
P 1.89926 1.29928 0.41652  -0.007
C -0.55248 1.37797 -1.24403  -0.001
C 0.51533 2.19831 -0.50344  -0.001
H -1.21534 2.09631 -1.74142  0.000
H -0.08726 0.79724 -2.04326  0.000
H 1.07187 2.80252 -1.23853  0.000
H 0.02839 2.89732 0.20016  0.000
C 2.63390 2.69445 1.34986  -0.001
H 3.43822 2.30932 1.99150  0.000
H 1.87052 3.16339 1.98348  0.000
H 3.04325 3.43186 0.64435  0.000
C 3.17259 0.97072 -0.82487  -0.001
H 3.48449 1.90718 -1.31662  0.000
H 2.81001 0.25699 -1.57830  0.000
H 4.04919 0.52067 -0.33063  0.000
C -3.36926 0.47149 -0.87700  -0.004
H -4.00572 -0.42527 -0.81107  0.000
H -3.47194 0.91309 -1.88313  -0.001
H -3.74256 1.19073 -0.12906  0.000
C -1.13279 -1.54816 -1.08943  -0.002
H -0.23999 -1.92656 -0.55903  0.000
H -0.90385 -1.50355 -2.16030  -0.001
H -1.94807 -2.27081 -0.91635  0.000
F -1.97698 1.29352 2.44970  -0.006
B -1.50965 2.63180 3.04532  0.000
F -2.43339 3.57600 2.72477  0.000
F -1.30742 2.40652 4.39869  0.000
F -0.26096 2.80828 2.38093  0.000



# 2
=====
Here the page continues:

a close up of a Bible page in Hebrew

### Data records that have nothing to do with the piece
A molecular structure, C27H20BrCl2EuN3O2S2 in a non-equilibrium geometry. Source: OMol25; level of theory: wB97M-V/def2-TZVPD.

Each line ends with the Löwdin spin population.
Atoms and positions in Å:
1 Eu 0.0760 1.6401 0.4376  7.0206
2 C -4.5273 -1.4021 0.4930  0.0000
3 C -3.9676 -0.1618 -0.1258  0.0004
4 C -4.7521 0.9541 -0.4134  0.0005
5 C -4.1879 2.0794 -0.9849  0.0004
6 C -2.8223 2.0769 -1.2207  0.0009
7 Br -1.6346 3.3011 1.7559  -0.0134
8 N -2.0489 1.0255 -0.9530  -0.0057
9 C -2.6175 -0.0696 -0.4377  0.0007
10 H -5.5564 -1.2475 0.8119  0.0000
11 H -3.9403 -1.6956 1.3639  0.0000
12 H -4.5106 -2.2320 -0.2158  0.0000
13 H -5.8114 0.9396 -0.1910  0.0000
14 H -4.7816 2.9487 -1.2264  0.0000
15 H -1.9494 -0.9061 -0.2434  0.0005
16 Cl 1.1609 3.6614 -1.3924  -0.0017
17 C 0.4627 3.0668 -2.8856  0.0010
18 C 1.3325 2.7169 -3.9058  0.0002
19 C 0.8218 2.2226 -5.0953  0.0001
20 C -0.5443 2.0720 -5.2606  0.0002
21 C -1.4009 2.4401 -4.2357  0.0001
22 Cl -3.1000 2.2563 -4.4720  0.0001
23 C -0.9245 2.9533 -3.0218  0.0008
24 S -2.0186 3.5692 -1.7694  0.0009
25 H 2.3967 2.8212 -3.7544  0.0000
26 H 1.4938 1.9473 -5.8957  0.0000
27 H -0.9584 1.6840 -6.1801  0.0000
28 O 1.6376 2.0743 2.2254  -0.0035
29 S 1.4152 0.6457 2.4566  0.0037
30 O 0.0263 0.3065 2.7712  -0.0017
31 N 1.8320 -0.0109 1.0940  -0.0087
32 C 1.4490 -1.2925 0.7416  -0.0005
33 C 1.5424 -2.4091 1.5480  0.0017
34 C 1.2371 -3.6914 1.0689  -0.0001
35 C 0.8501 -3.8889 -0.2272  0.0016
36 C 0.7112 -2.7782 -1.0868  0.0000
37 C 0.3035 -2.9076 -2.4308  0.0010
38 C 0.1342 -1.7876 -3.1960  -0.0002
39 C 0.3369 -0.5315 -2.6028  0.0014
40 N 0.7266 -0.3618 -1.3600  -0.0039
41 C 0.9644 -1.4710 -0.5976  0.0004
42 C 2.4389 0.1444 3.8163  0.0009
43 C 3.7602 0.5536 3.8364  0.0002
44 C 4.5798 0.1503 4.8759  0.0000
45 C 4.0703 -0.6562 5.8845  0.0002
46 C 2.7430 -1.0598 5.8569  0.0000
47 C 1.9156 -0.6583 4.8171  0.0003
48 H 1.8959 -2.2977 2.5648  0.0001
49 H 1.3339 -4.5332 1.7425  -0.0001
50 H 0.6402 -4.8801 -0.6083  0.0001
51 H 0.1266 -3.8972 -2.8337  0.0001
52 H -0.1753 -1.8461 -4.2299  0.0000
53 H 0.1331 0.3649 -3.1735  0.0002
54 H 4.1339 1.1882 3.0430  0.0000
55 H 5.6133 0.4669 4.9029  0.0000
56 H 4.7127 -0.9682 6.6971  0.0000
57 H 2.3480 -1.6826 6.6480  0.0000
58 H 0.8740 -0.9465 4.7742  0.0001

Computed properties:
* E: -6356.84914 Ha
* net charge: 0
* E_HOMO (alpha / beta): -6.58 / -7.86 eV
* frontier orbital gap (alpha / beta): 6.54 / 7.82 eV
* multiplicity: 8
* ΔE to the lowest compared entry with this formula, charge and spin: 0.0 kcal/mol
### End of the data records

This arti­cle cri­tiques Samuel Green’s views on Bib­li­cal crit­i­cisms, empha­siz­ing authen­tic­i­ty and preser­va­tion. It ana­lyzes and com­pares the integri­ty of the Bible and the Qur’an’s role as the divine rev­e­la­tion’s guardian, exam­in­ing tex­tu­al vari­ants, his­tor­i­cal con­text, and eth­i­cal impli­ca­tions for a com­pre­hen­sive and ana­lyt­i­cal perspective.

jesus and muhammad

In the face of Chris­t­ian polemics, a crit­i­cal explo­ration into Islam­ic teach­ings offers a path­way to uncov­er­ing the true essence of Prophet Muhammad’s mes­sage. This approach reveals the depth, com­pas­sion, and wis­dom of Islam, con­trast­ing sharply with mis­con­cep­tions. Embark on a jour­ney to chal­lenge nar­ra­tives, seek authen­tic­i­ty, and illu­mi­nate the pro­found prin­ci­ples of Islam. 

Resolving The Christian "I-Know-Nothing" Multi-Problem 26

Occa­sion­al­ly, we come across Chris­tians face-to-face and, more fre­quent­ly, on the Inter­net, who, when informed that the text of the gospels under­went cor­rup­tion dur­ing their trans­mis­sion, often react with the fol­low­ing type of ques­tions : When ? Who did the cor­rup­tion ? In what coun­try ? Before or after Muham­mad ? Why was it done ? How come no one noticed it?” These type of seem­ing­ly inno­cent” ques­tions mere­ly reveal the incal­cu­la­bly colos­sal igno­rance of the per­son in question.

The Myth of "The Myth of Moderate Islam" 27

In a recent arti­cle in The Spec­ta­tor mag­a­zine in the UK, the evan­gel­i­cal leader Patrick Sookhdeo takes a swipe at Mus­lims and their reli­gion. Does his case stand up to scruti­ny ? Patrick Sookhdeo’s arti­cle (July 30, 2005) in London’s The Spec­ta­tor, The Myth of a Mod­er­ate Islam” reflects a dan­ger­ous trend in the war on ter­ror. Under the guise of inform­ing West­ern­ers about Islam, he is in fact spread­ing the very same dis­in­for­ma­tion that anti-Islam­ic polemics have been based upon for over 1,000 years. This plays direct­ly into the hands of Osama bin Laden, Abu Musab al-Zar­qawi and oth­ers, for it encour­ages the clash of civ­i­liza­tions” they so appalling­ly desire. It is indeed of the utmost impor­tance that we learn more about Islam and fight the scourge of extrem­ism with all the tools pos­si­ble. But Sookhdeo and those like him cor­rupt this process, seek­ing to advance their own agen­da by turn­ing the war on ter­ror into an ide­o­log­i­cal war against Islam.